- Zipcar announced significant investment in P2P startup Wheelz
- Getaround launches 2 new cities — Portland, Oregon and Austin, Texas — and wins another award
- RelayRides roared back to life announcing a national expansion strategy and new operating policies

Meanwhile Getaround seems to be maintaining its PR lead against other rivals (RelayRides, JustShareIt and Wheelz among others) being bestowed the title "market leader" by consulting firm Frost and Sullivan. They also announced that Getaround is the recipient of the 2011 Frost & Sullivan Enabling Technology Award, presented to a company that has "developed a pioneering technology that not only enhances current products but also enables the development of newer products and applications". The press release notes Getaround's new member screening process, "carkit" technology and smartphone app. Just about every carsharing company has some version of all 3 of these. Getaround, like Zipcar, has done a good job of staking out their claim to technology prowess. (My 2¢: depending on how it develops, RelayRides partnership with GM/Onstar may ultimately prove to be a much more significant development.)

RelayRides announcement of a national strategy was their attempt to get back in the spotlight. Another part of the announcement was that they were instituting personal key exchange as an alternative to installing in-vehicle technology (similar to Getaround). Key swap enables customers to sign up and immediately start renting out their vehicles without the cost or delay of getting technology installed (even the Onstar system is not plug and play). And it appears that some vehicle owners appreciate meeting the people who are renting their car (and it may even encourage a little better driving behavior on the part of the renters, as well). As I've said before I've got no problem with "key swap" per se, only that I'd call it car rental, not carsharing, since I don't think key swap offers the customer a level of convenience (unattended access to the vehicle) that constitutes "real"carsharing (i.e. so that it can serve as an alternative to owning a vehicle for a significant number of people).
New York Times Skeptical of P2P
Meanwhile, New York Times writer Josie Garthwaite wrote a Wheels blog entry that raised doubts about RelayRides strategy of going national when only 2 states had personal vehicle carsharing laws in place.
While there certainly are benefits to having a personal vehicle carsharing law in place, I think the article overstates the risk of a P2P company operating in states that have not enacted laws defining personal vehicle carsharing. The big risk is to RelayRides if they got embroiled in some legal morass about which insurance should apply in a particular claim situation (which is certainly a possibility). However, RelayRides insurance company has signed off on the national approach, so they're the one's really taking the risk, and if there's anyone who has figured out how to profit from risk, it's insurance companies!
In states without P2P laws, it seems to me the biggest uncertainty faced by the P2P company is a possible slower growth rate. This might occur if vehicle owners worry that their personal auto insurance might be cancelled or what might happen in the event of an accident during a P2P trip. Depending on how the P2P company addresses this concern, it's posible fewer people may chose not to enroll their vehicles in the service. RelayRides used to post a video with a long testimonial by a customer whose vehicle was in a major accident during a P2P trip (not sure if it's still on their website or not?)
Entry 1:
# TcNi3Ir12
Calculated powder diffraction line list, Cu Kα X-rays. Input: a crystal structure in Alexandria, relaxed with PBE.

Crystal structure
Unit cell a=3.8247 b=3.8247 c=15.3229 alpha=90.00 beta=90.00 gamma=90.00
Space group P4/mmm (No. 123)
Inequivalent atoms, fractional coordinates:
1 Tc 0.0000 0.0000 0.0000
2 Ni 0.0000 0.0000 0.2549
3 Ni 0.0000 0.0000 0.5000
4 Ir 0.0000 0.5000 0.1254
5 Ir 0.0000 0.5000 0.3760
6 Ir 0.5000 0.5000 0.0000
7 Ir 0.5000 0.5000 0.2508
8 Ir 0.5000 0.5000 0.5000

Main lines, by angle (5° ≤ 2θ ≤ 70°):
two_theta	I/Imax	(hkl)
23.2	10	0 0 4
33.1	8	1 0 4
40.8	100	1 1 4
47.5	49	2 0 0
53.5	5	1 0 8
59.1	4	1 1 8
69.5	31	2 2 0


Entry 2:
# TcNiIr6
Calculated powder diffraction line list, Cu Kα X-rays. Input: a crystal structure in Alexandria, relaxed with PBE.

Crystal structure
Unit cell a=3.8364 b=3.8364 c=7.6916 alpha=90.00 beta=90.00 gamma=90.00
Space group P4/mmm (No. 123)
Inequivalent atoms, fractional coordinates:
1 Tc 0.0000 0.0000 0.0000
2 Ni 0.0000 0.0000 0.5000
3 Ir 0.0000 0.5000 0.2488
4 Ir 0.5000 0.5000 0.0000
5 Ir 0.5000 0.5000 0.5000

Main lines, by angle (5° ≤ 2θ ≤ 70°):
two_theta	I/Imax	(hkl)
23.2	8	1 0 0
33.0	7	1 1 0
40.7	100	1 1 2
47.3	16	0 0 4
47.4	32	2 0 0
53.3	3	2 0 2
58.9	3	2 1 2
69.2	32	2 2 0


Entry 3:
# TcNiIr2
Calculated powder diffraction line list, Cu Kα X-rays. Input: a crystal structure in Alexandria, relaxed with PBE.

Crystal structure
Unit cell a=2.7140 b=2.7140 c=7.4427 alpha=90.00 beta=90.00 gamma=90.00
Space group P4/mmm (No. 123)
Inequivalent atoms, fractional coordinates:
1 Tc 0.0000 0.0000 0.0000
2 Ni 0.0000 0.0000 0.5000
3 Ir 0.5000 0.5000 0.2556

Main lines, by angle (5° ≤ 2θ ≤ 70°):
two_theta	I/Imax	(hkl)
23.9	15	0 0 2
33.0	14	1 0 0
41.2	100	1 0 2
47.4	34	1 1 0
49.0	15	0 0 4
53.7	7	1 1 2
60.3	5	1 0 4
69.2	11	2 0 0


Entry 4:
# TcNiIr3
Calculated powder diffraction line list, Cu Kα X-rays. Input: a crystal structure in Alexandria, relaxed with PBE.

Crystal structure
Unit cell a=4.6897 b=13.4964 c=4.6516 alpha=90.00 beta=109.33 gamma=90.00
Space group C2/c (No. 15)
Inequivalent atoms, fractional coordinates:
1 Tc 0.0000 0.1509 0.2500
2 Ni 0.0000 0.3508 0.2500
3 Ir 0.0000 0.0526 0.7500
4 Ir 0.0000 0.2536 0.7500
5 Ir 0.0000 0.4510 0.7500

Main lines, by angle (5° ≤ 2θ ≤ 70°):
two_theta	I/Imax	(hkl)
24.3	22	1 1 -1
40.8	51	2 0 0
41.0	100	1 5 -1
41.1	50	0 0 2
47.6	65	1 5 1
47.7	33	2 0 -2
69.5	21	3 5 -1
69.6	21	2 0 2


Entry 5:
# TcNi3Ir3
Calculated powder diffraction line list, Cu Kα X-rays. Input: a crystal structure in Alexandria, relaxed with PBE.

Crystal structure
Unit cell a=10.8832 b=10.8832 c=2.6013 alpha=90.00 beta=90.00 gamma=120.00
Space group P6_3/m (No. 176)
Inequivalent atoms, fractional coordinates:
1 Tc 0.3333 0.6667 0.2500
2 Ni 0.1350 0.4111 0.2500
3 Ir 0.0813 0.6194 0.2500

Main lines, by angle (5° ≤ 2θ ≤ 70°):
two_theta	I/Imax	(hkl)
9.4	100	1 0 0
18.8	14	2 0 0
34.3	11	3 1 0
35.8	19	1 0 1
43.1	16	1 2 1
44.0	31	4 1 0
49.4	17	3 1 1
52.4	12	4 0 1


Entry 6:
It's worth noting that no personal auto insurance company that I'm aware of has publicly stated their opposition to the concept of P2P carsharing. I would like t to follow up with direct interviews with RelayRides members in Massachussetts, which does not have a P2P law, to determine if the risks and uncertainty are as great as are suggested in the article.